Ten things you should know about the Iran nuke deal
**The piece is interrupted by records of crystals**
VASP calculation (PBE) on a relaxed SrIr2Os crystal.

Output
crystal system: orthorhombic
magnetic moment: 1.39 μB per cell
ΔE_f: 0.83 eV/atom
polymorph energy (0 for the lowest one): 584.3 meV per atom
calculated total energy: -6.827 eV per atom

Cell: 2.8459 5.0759 4.8954 Å, 90.00 90.00 90.00°
Last column: nearest neighbours and their distance in Å.
Fractional coordinates of all 4 atoms:
Ir: 0.0000 0.0000 0.0000  4 Os 2.83, 6 Ir 2.85-2.91
Ir: 0.5000 0.5000 0.0000  4 Sr 2.83, 6 Ir 2.85-2.91
Sr: 0.0000 0.5000 0.5000  4 Ir 2.83, 2 Sr 2.85, 4 Os 2.91
Os: 0.5000 0.0000 0.5000  4 Ir 2.83, 2 Os 2.85, 4 Sr 2.91

=====

VASP calculation (PBE) on a relaxed Sr2Ir2Os crystal.

Output
crystal system: tetragonal
magnetic moment: 0.00 μB per cell
ΔE_f: 0.08 eV/atom
polymorph energy (0 for the lowest one): 0.0 meV per atom
calculated total energy: -6.384 eV per atom

Cell: 6.6573 6.6573 4.9972 Å, 90.00 90.00 90.00°
Last column: nearest neighbours and their distance in Å.
Fractional coordinates of all 10 atoms:
Ir: 0.3634 0.8634 0.0000  1 Ir 2.57, 2 Os 2.58
Ir: 0.8634 0.6366 0.0000  1 Ir 2.57, 2 Os 2.58
Ir: 0.6366 0.1366 0.0000  1 Ir 2.57, 2 Os 2.58
Ir: 0.1366 0.3634 0.0000  1 Ir 2.57, 2 Os 2.58
Os: 0.0000 0.0000 0.0000  4 Ir 2.58
Os: 0.5000 0.5000 0.0000  4 Ir 2.58
Sr: 0.6805 0.8195 0.5000  6 Ir 3.03-3.28, 1 Sr 3.40
Sr: 0.8195 0.3195 0.5000  6 Ir 3.03-3.28, 1 Sr 3.40
Sr: 0.1805 0.6805 0.5000  6 Ir 3.03-3.28, 1 Sr 3.40
Sr: 0.3195 0.1805 0.5000  6 Ir 3.03-3.28, 1 Sr 3.40

=====

VASP calculation (PBE) on a relaxed SrIrOs2 crystal.

Output
crystal system: monoclinic
magnetic moment: 0.00 μB per cell
ΔE_f: 0.82 eV/atom
polymorph energy (0 for the lowest one): 377.1 meV per atom
calculated total energy: -7.433 eV per atom

Cell: 4.6207 2.8615 5.8142 Å, 78.42 90.00 90.00°
Last column: nearest neighbours and their distance in Å.
Fractional coordinates of all 4 atoms:
Sr: 0.5000 0.2500 0.2500  2 Sr 2.86, 2 Ir 2.97, 4 Os 3.18
Os: 0.0000 0.9379 0.9351  2 Os 2.51-2.59, 2 Ir 2.65
Os: 0.0000 0.5621 0.5649  2 Os 2.51-2.59, 2 Ir 2.65
Ir: 0.5000 0.7500 0.7500  4 Os 2.65, 2 Ir 2.86

=====

VASP calculation (PBE) on a relaxed SrIrOs2 crystal.

Output
crystal system: tetragonal
magnetic moment: 0.00 μB per cell
ΔE_f: 0.65 eV/atom
polymorph energy (0 for the lowest one): 206.5 meV per atom
calculated total energy: -7.604 eV per atom

Cell: 2.8163 2.8163 8.8384 Å, 90.00 90.00 90.00°
Last column: nearest neighbours and their distance in Å.
Fractional coordinates of all 4 atoms:
Os: 0.0000 0.0000 0.5427  4 Ir 2.71, 4 Os 2.82
Os: 0.0000 0.0000 0.9573  4 Ir 2.71, 4 Os 2.82
Sr: 0.5000 0.5000 0.2500  4 Sr 2.82
Ir: 0.5000 0.5000 0.7500  8 Os 2.71, 4 Ir 2.82

=====

VASP calculation (PBE) on a relaxed SrIrOs2 crystal.

Output
crystal system: tetragonal
magnetic moment: 0.00 μB per cell
ΔE_f: 1.05 eV/atom
polymorph energy (0 for the lowest one): 608.6 meV per atom
calculated total energy: -7.202 eV per atom

Cell: 4.4618 3.9804 3.9804 Å, 90.00 90.00 90.00°
**So much for the records of crystals**
1 Alternatives to this deal. War is not the only alternative as some pundits warn. The alternative is a better deal taking into accounts differences in Iranian and US interpretations as well as obvious flaws and the fact that sanctions brought Iran to the negotiating table.
2. Security Council Resolutions. In allowing Iran to operate about 6,000 centrifuges and to continue other nuclear activities, the Framework agreement is legitimizing Iran’s consistent violation of UN Security Council Resolutions which are binding in terms of Chapter VII of the UN Charter.
Resolution 1696 of July 2006 demanded that Iran suspend ALL enrichment-related and reprocessing activities. Nine additional resolutions were subsequently passed in response to Iran’s failure to meet requirements of the IAEA and to comply with resolution 1696.
3. The stockpile grows. Iran Watch of April 2, 2015 reported that Iran’s stockpile of low-enriched uranium has been growing during the talks and that Iran agrees to limit its existing stockpile of about 10,000 kg of low-enriched uranium, to 300 kg for a period of 15 years. But Iran Watch asks what happens to the rest of the stockpile? Will it be shipped out of the country or will Iran dilute the material and keep it in the country? The stockpile is sufficient to fuel about seven nuclear weapons, with further enrichment and processing. If the material remains in the country (especially in diluted gaseous form), it could provide Iran with the building blocks for a small nuclear arsenal.
-- Data records, kept here for reference --
=====
A relaxed Tl2Co crystal, computed with PBEsol.

Properties
Energy relative to the elements ... 483 meV per atom
Energy ... -23.1 eV/cell
Symmetry ... Cmcm, No. 63

abc: 7.762 7.762 4.951
angles: 90.00 90.00 155.58
Positions (direct):
1 Tl 0.062 0.938 0.750
2 Tl 0.343 0.657 0.750
3 Tl 0.657 0.343 0.250
4 Tl 0.938 0.062 0.250
5 Co 0.294 0.706 0.250
6 Co 0.706 0.294 0.750


A relaxed CoP2SF crystal, computed with PBEsol.

Properties
Formation energy (no corrections) ... 298.2 meV/atom
Energy ... -24.1 eV/cell
Symmetry ... P4/mmm, No. 123

abc: 4.245 4.245 4.335
angles: 90.00 90.00 90.00
Positions (direct):
1 Co 0.000 0.000 0.000
2 P 0.000 0.500 0.000
3 P 0.500 0.000 0.000
4 S 0.000 0.000 0.500
5 F 0.500 0.500 0.500


A relaxed CdGa2Ir2 crystal, computed with PBEsol.

Properties
Energy relative to the elements ... -285 meV per atom
Energy ... -57.9 eV/cell
Symmetry ... P4/mbm, No. 127

abc: 7.305 7.305 2.854
angles: 90.00 90.00 90.00
Positions (direct):
1 Cd 0.000 0.000 0.000
2 Cd 0.500 0.500 0.000
3 Ga 0.138 0.362 0.000
4 Ga 0.362 0.862 0.000
5 Ga 0.638 0.138 0.000
6 Ga 0.862 0.638 0.000
7 Ir 0.158 0.658 0.500
8 Ir 0.342 0.158 0.500
9 Ir 0.658 0.842 0.500
10 Ir 0.842 0.342 0.500


A relaxed Ba2YC2O6F3 crystal, computed with PBEsol.

Properties
Formation energy (no corrections) ... -2840.9 meV/atom
Energy ... -429.8 eV/cell
Symmetry ... Pbcn, No. 60

abc: 9.445 6.930 11.749
angles: 90.00 90.00 90.00
Positions (direct):
1 Ba 0.120 0.238 0.071
2 Ba 0.120 0.762 0.571
3 Ba 0.380 0.262 0.571
4 Ba 0.380 0.738 0.071
5 Ba 0.620 0.262 0.929
6 Ba 0.620 0.738 0.429
7 Ba 0.880 0.238 0.429
8 Ba 0.880 0.762 0.929
9 Y 0.000 0.228 0.750
10 Y 0.000 0.772 0.250
11 Y 0.500 0.272 0.250
12 Y 0.500 0.728 0.750
13 C 0.194 0.479 0.320
14 C 0.194 0.521 0.820
15 C 0.306 0.021 0.820
16 C 0.306 0.979 0.320
17 C 0.694 0.021 0.680
18 C 0.694 0.979 0.180
19 C 0.806 0.479 0.180
20 C 0.806 0.521 0.680
21 O 0.088 0.480 0.886
22 O 0.088 0.520 0.386
23 O 0.187 0.455 0.716
24 O 0.187 0.545 0.216
25 O 0.201 0.122 0.855
26 O 0.201 0.878 0.355
27 O 0.299 0.378 0.355
28 O 0.299 0.622 0.855
29 O 0.313 0.045 0.216
30 O 0.313 0.955 0.716
31 O 0.412 0.020 0.386
32 O 0.412 0.980 0.886
33 O 0.588 0.020 0.114
34 O 0.588 0.980 0.614
35 O 0.687 0.045 0.284
36 O 0.687 0.955 0.784
37 O 0.701 0.378 0.145
38 O 0.701 0.622 0.645
39 O 0.799 0.122 0.645
40 O 0.799 0.878 0.145
41 O 0.813 0.455 0.784
42 O 0.813 0.545 0.284
43 O 0.912 0.480 0.614
44 O 0.912 0.520 0.114
45 F 0.000 0.099 0.250
46 F 0.000 0.901 0.750
47 F 0.094 0.150 0.578
48 F 0.094 0.850 0.078
49 F 0.406 0.350 0.078
50 F 0.406 0.650 0.578
51 F 0.500 0.401 0.750
52 F 0.500 0.599 0.250
53 F 0.594 0.350 0.422
54 F 0.594 0.650 0.922
55 F 0.906 0.150 0.922
56 F 0.906 0.850 0.422


A relaxed CdCu4Sb crystal, computed with PBEsol.

Properties
Formation energy (no corrections) ... 47.6 meV/atom
Energy ... -22.8 eV/cell
Symmetry ... F-43m, No. 216

abc: 4.986 4.986 4.986
angles: 60.00 60.00 60.00
Positions (direct):
1 Cd 0.000 0.000 0.000
=====
4. About Rouhani. Hassan Rouhani’s election as Iranian President is perceived as positive by comparison with his predecessor Mahmoud Ahmadinejad. But Reuters suggests that Rouhani’s earlier comments offer an intriguing window into his thinking – a warning that his apparent moderate attitude could be deceptive. For example, as President-elect on June 17, 2013, Rouhani told the media that he approved of concealing Iran’s nuclear program.
And according to The Telegraph of June 17, 2013 he ruled out halting Iran’s controversial uranium enrichment program.
5. Concealment. Consistent with Iran’s admitted propensity for concealment, a clandestine underground uranium enrichment facility was revealed in August 2002 by The National Council of Resistance of Iran (NCRI) (one of two parliaments in exile of the Iranian Resistance) and its existence was acknowledged by Iran in February 2003. (Iran Watch) /
According to AFP as reported in Arabian business.com (February 21, 2008) Mohammad Mohadessin, a leader of NCRI reported that Iran is actively pursuing a nuclear weapons program on an operational nuclear-warhead development site. Accompanied by satellite photographs he said information had been collected on two top secret studies on nuclear warheads. A new centre code-named Lavizan-2 was established at Mojdeh and a missile-research site at Khojir was actively developing a nuclear warhead for medium range missiles. Information had come from “hundreds” of sources including people working at the sites and within offices of the Iranian leadership.
In a speech to the Supreme Cultural Revolution Council when he was National Security Council Secretary, Rouhani admitted that in the summer of 1382 (2003) IAEA inspectors found traces of 70% and 80% enriched uranium which he explained as contamination. He said:
“By contamination, I mean we have traces of uranium that has been enriched more than 50% in our facilities. Having uranium that has been enriched more than 20% means a country is trying to build weapons’.
Rouhani claimed Iran was not responsible and that some people in Iran argued that the IAEA inspectors, influenced by the United States, brought contaminated handkerchiefs and presented them as false evidence . (Beyond the Challenges Facing Iran and the IAEA Concerning the Nuclear Dossierʺ Rahbord (in Persian), 30 September 2005
6. Lack of cooperation. According to the IAEA Report of February 19, 2015, Iran has not yet provided any explanations that enable the IAEA to clarify two outstanding practical measures, nor has it proposed any new practical measures in the next step of the Framework for Cooperation.
7. Iran’s tentacles of terror. It is difficult to understand why advantage was not taken during the negotiations of the unique opportunity to deal with Iran’s promotion of terrorism as a step towards establishing a new working relationship with the Western World. The P5 appear to be unconcerned about Iran’s openly declared intentions as expressed in Supreme Leader Ayatollah Khamenei scream ‘Death to America” as recently as March 23 2015, even while his foreign minister was negotiating with them.
On February 11, 2015 Fox news reported
Secret Iranian unit fueling Mideast bloodshed with illicit arms shipments”
As conflicts and civil wars rage across the Middle East and North Africa, a shadowy covert cell operating under the Iranian government is fueling the bloodshed. The Quds Force moves weapons to Hezbollah, Hamas and now the Houthis in Yemen. It runs a network of straw companies which skirt sanctions..
In January 2013, the U.S. Navy intercepted 40 tons of anti-tank and anti-aircraft missiles on a boat destined for the Houthis who have now taken control of Yemen’s capital, forcing the evacuation of the U.S. Embassy.
Last May the US State Department reported that Iran’s state sponsorship of terrorism has reached a tempo unseen since the 1990s.
Iran is implicated in providing financial, material and logistical support for terror attacks in Southeast Asia, Europe, and Africa and it was known that certain terrorist groups have expressed interest in using a nuclear device. A terrorist nuclear explosion could kill hundreds of thousands and destroy the economy of a country.
8. Iran claims US is lying. On April 2, Washington Free Beacon reported that after the announcement of the framework, Iran’s leading negotiator Javad Zarif Zarif Zarif accused the Obama administration of lying and of misleading both the American people and Congress.
A headline declared
“Iran Brags About Nuke Concessions. Sanctions to be terminated, no nuke sites closed, research and development to continue”
Zarif also revealed that Iran will be allowed to sell enriched uranium in the international market
The report added that allowing Iran to keep centrifuges at Fordow, has elicited concern that Tehran could ramp up its nuclear work with ease.
9. Differences about what was agreed on lifting of sanctions. Zarif said the US promised an immediate termination of sanctions, thereby directly contradicting Secretary Kerry’s statement that sanctions relief would be implemented in a phased fashion only after Iran verifies it is not conducting any work on nuclear weapons. Zarif also told reporters that the agreement allows Iran to keep operating its nuclear program. He said
“None of those measures intended to scale back Iran’s program include closing any of our facilities. We will continue enriching; we will continue research and development.”
**Someone pasted crystal structures at this point:**
(1)
Below is a geometry-optimized AgHgSe3 structure, with properties calculated at the PBE level.

Computed properties:
Energy relative to the elements, uncorrected in eV/atom: 0.61
Final energy in eV per atom: -2.11
Total moment in μB per cell: 0.0
Excess energy over the best structure of this formula in the dataset in meV per atom: 0
Symmetry: Pm-3m

```
data_AgHgSe3
_cell_length_a 5.1171
_cell_length_b 5.1171
_cell_length_c 5.1171
_cell_angle_alpha 90.00
_cell_angle_beta 90.00
_cell_angle_gamma 90.00
_space_group_name_H-M_alt 'P 1'
_space_group_IT_number 1
loop_
_space_group_symop_operation_xyz
'x,y,z'
loop_
_atom_site_label
_atom_site_fract_x
_atom_site_fract_y
_atom_site_fract_z
Ag1 0.0000 0.0000 0.0000
Hg1 0.5000 0.5000 0.5000
Se1 0.0000 0.0000 0.5000
Se2 0.0000 0.5000 0.0000
Se3 0.5000 0.0000 0.0000
```

(2)
Below is a geometry-optimized Ti2GaReBr structure, with properties calculated at the PBE level.

Computed properties:
Energy relative to the elements, uncorrected in eV/atom: 1.60
Final energy in eV per atom: -4.99
Total moment in μB per cell: 1.5
Symmetry: P4/mmm

```
data_Ti2GaReBr
_cell_length_a 4.8360
_cell_length_b 4.8360
_cell_length_c 4.8646
_cell_angle_alpha 90.00
_cell_angle_beta 90.00
_cell_angle_gamma 90.00
_space_group_name_H-M_alt 'P 1'
_space_group_IT_number 1
loop_
_space_group_symop_operation_xyz
'x,y,z'
loop_
_atom_site_label
_atom_site_fract_x
_atom_site_fract_y
_atom_site_fract_z
Ti1 0.0000 0.5000 0.0000
Ti2 0.5000 0.0000 0.0000
Ga1 0.0000 0.0000 0.0000
Re1 0.5000 0.5000 0.5000
Br1 0.0000 0.0000 0.5000
```

(3)
Below is a geometry-optimized Pm2Mg3Ga4 structure, with properties calculated at the PBE level.

Computed properties:
Final energy in eV per atom: -3.31
Calculated formation energy in meV/atom: -378
Total moment in μB per cell: 0.0
Symmetry: Cmce

```
data_Pm2Mg3Ga4
_cell_length_a 8.8329
_cell_length_b 8.8329
_cell_length_c 7.8078
_cell_angle_alpha 90.00
_cell_angle_beta 90.00
_cell_angle_gamma 139.42
_space_group_name_H-M_alt 'P 1'
_space_group_IT_number 1
loop_
_space_group_symop_operation_xyz
'x,y,z'
loop_
_atom_site_label
_atom_site_fract_x
_atom_site_fract_y
_atom_site_fract_z
Pm1 0.0992 0.9008 0.9039
Pm2 0.4008 0.5992 0.4039
Pm3 0.5992 0.4008 0.5961
Pm4 0.9008 0.0992 0.0961
Mg1 0.0000 0.0000 0.5000
Mg2 0.0163 0.4837 0.7500
Mg3 0.4837 0.0163 0.2500
Mg4 0.5000 0.5000 0.0000
Mg5 0.5163 0.9837 0.7500
Mg6 0.9837 0.5163 0.2500
Ga1 0.1667 0.8333 0.5204
Ga2 0.1841 0.3159 0.7500
Ga3 0.3159 0.1841 0.2500
Ga4 0.3333 0.6667 0.0204
Ga5 0.6667 0.3333 0.9796
Ga6 0.6841 0.8159 0.7500
Ga7 0.8159 0.6841 0.2500
Ga8 0.8333 0.1667 0.4796
```

(4)
Below is a geometry-optimized Ta3BiOs structure, with properties calculated at the PBE level.

Computed properties:
Final energy in eV per atom: -9.16
Calculated formation energy in meV/atom: 974
Total moment in μB per cell: 0.0
Excess energy over the best structure of this formula in the dataset in meV per atom: 0
Symmetry: Pm-3m

```
data_Ta3BiOs
_cell_length_a 4.9156
**The entry goes on:**
10. Arab opposition to the framework.
The Guardian headlined
“Arab nations alarmed by prospect of US nuclear deal with Iran”
and the Wall Street Journal reported that Arab officials and people across the region say the agreement with Iran, a country deeply involved in the Middle East’s web of bloody conflicts, is unlikely to help defuse the region’s sectarian wars and could even widen fault lines,.
Egyptian daily Al-Wafd reported
Politicians: Obama’s deal with Iran threatens Arab world”Some Arab countries are opposed to the nuclear deal because it poses a threat to their interests,”
Hani al-Jamal, an Egyptian political and regional researcher was quoted as saying
The deal means that the international community has accepted Iran as a nuclear power. He predicted that the framework agreement would put Iran and some Arab countries such as Saudi Arabia and Egypt on a collision course.